• Job:
Restate the lines further below with every line break kept.

• Listing:
A) Entry from the OMol25 dataset: one molecule with the formula C3H7NO2 (ωB97M-V/def2-TZVPD).

Summary:
LUMO (spin up / spin down)	0.0325 / -0.1131	hartree
gap between HOMO and LUMO (spin up / spin down)	6.40 / 7.44	eV
⟨S²⟩	2.0133
multiplicity	3
HOMO level (spin up / spin down)	-5.5 / -10.5	eV

Positions of all 13 atoms, in Å:
C -0.211 -0.282 -0.600
C 0.914 0.796 1.465
C -0.371 0.801 0.648
N 0.768 -1.016 -0.559
O -1.221 -1.229 -2.415
O -1.223 -0.180 -1.486
H 1.007 -0.219 2.092
H 1.659 0.654 0.709
H 0.952 1.755 1.891
H -1.370 0.760 1.256
H -0.452 1.821 0.288
H 1.042 -1.674 -1.327
H -1.493 -1.987 -1.962

The net atomic charges from natural (NBO), expressed in e, are: atom 1 (C): 0.524, atom 2 (C): -0.619, atom 3 (C): -0.463, atom 4 (N): -0.670, atom 5 (O): -0.407, atom 6 (O): -0.235, atom 7 (H): 0.213, atom 8 (H): 0.226, atom 9 (H): 0.210, atom 10 (H): 0.217, atom 11 (H): 0.213, atom 12 (H): 0.373, atom 13 (H): 0.417

B) Entry from the OMol25 dataset: C3H7NO2 as an isolated structure (ωB97M-V/def2-TZVPD).

Summary:
LUMO (spin up / spin down)	0.0326 / -0.0896	hartree
gap between HOMO and LUMO (spin up / spin down)	7.15 / 7.50	eV
⟨S²⟩	2.0081
multiplicity	3
HOMO level (spin up / spin down)	-6.3 / -9.9	eV

Positions of all 13 atoms, in Å:
C 0.997 0.806 0.020
C 0.227 1.915 -0.637
C -1.364 -0.913 0.073
N 0.426 -0.327 0.140
O 0.937 -1.407 0.566
O -1.300 -2.206 0.163
H 1.988 0.981 0.051
H -0.023 1.833 -1.689
H -0.669 2.236 -0.070
H 0.902 2.788 -0.747
H -1.612 -0.310 -0.821
H 0.068 -2.128 0.346
H -1.617 -0.379 1.006

The net atomic charges from natural (NBO), expressed in e, are: atom 1 (C): 0.016, atom 2 (C): -0.690, atom 3 (C): 0.165, atom 4 (N): -0.088, atom 5 (O): -0.317, atom 6 (O): -0.720, atom 7 (H): 0.178, atom 8 (H): 0.223, atom 9 (H): 0.221, atom 10 (H): 0.229, atom 11 (H): 0.154, atom 12 (H): 0.489, atom 13 (H): 0.140

Pick B): it beats the second-best structure by 52.2 kcal/mol.

A) Entry from the OMol25 dataset: CH3PS4 as an isolated structure (ωB97M-V/def2-TZVPD).

Summary:
LUMO	-0.0295	hartree
gap between HOMO and LUMO	7.34	eV
multiplicity	1
HOMO level	-8.1	eV

Positions of all 9 atoms, in Å:
C 0.995 -0.474 0.785
P -0.110 0.923 0.347
S 0.515 -0.891 2.512
S -1.137 0.398 2.118
S -1.893 -2.063 -0.101
S -1.695 -0.422 -1.329
H 0.709 -1.336 0.254
H 2.094 -0.349 0.881
H -3.107 -2.089 0.393

The net atomic charges from natural (NBO), expressed in e, are: atom 1 (C): -0.889, atom 2 (P): 0.668, atom 3 (S): 0.124, atom 4 (S): -0.146, atom 5 (S): -0.131, atom 6 (S): -0.263, atom 7 (H): 0.255, atom 8 (H): 0.256, atom 9 (H): 0.125

B) Entry from the OMol25 dataset: one molecule with the formula CH3PS4 (ωB97M-V/def2-TZVPD).

Summary:
LUMO (spin up / spin down)	-0.0550 / -0.0835	hartree
gap between HOMO and LUMO (spin up / spin down)	7.30 / 5.87	eV
multiplicity	1
HOMO level (spin up / spin down)	-8.8 / -8.1	eV

Positions of all 9 atoms, in Å:
C -1.801 0.530 0.202
P 2.998 -0.048 0.321
S -1.865 -0.965 1.049
S 2.094 -1.886 -0.021
S -0.270 0.757 -0.958
S 1.294 1.331 0.211
H -2.609 0.484 -0.566
H -1.684 1.306 1.030
H 1.843 -1.509 -1.269

The net atomic charges from natural (NBO), expressed in e, are: atom 1 (C): -0.753, atom 2 (P): 0.336, atom 3 (S): 0.162, atom 4 (S): -0.280, atom 5 (S): 0.081, atom 6 (S): -0.215, atom 7 (H): 0.244, atom 8 (H): 0.276, atom 9 (H): 0.149

Pick A): it beats the second-best structure by 27.8 kcal/mol.

A) Entry from the OMol25 dataset: C3H6GaMgO4S as an isolated structure (ωB97M-V/def2-TZVPD).

Summary:
total charge	+1
LUMO (spin up / spin down)	-0.2011 / -0.2141	hartree
gap between HOMO and LUMO (spin up / spin down)	6.81 / 5.10	eV
multiplicity	1
HOMO level (spin up / spin down)	-12.3 / -10.9	eV

Positions of all 16 atoms, in Å:
Ga 0.638 1.453 0.463
S 3.408 0.831 -0.418
O 2.880 -0.656 0.060
O 2.599 1.916 0.492
O 0.067 0.853 -1.261
C -1.274 0.467 -1.153
C -1.509 -0.776 -0.276
O -0.343 -1.150 0.450
C -0.016 -0.188 1.552
Mg 1.239 -1.068 -0.814
H -1.624 0.205 -2.169
H -1.877 1.297 -0.737
H -1.729 -1.646 -0.913

• Here it is:
A) Entry from the OMol25 dataset: one molecule with the formula C3H7NO2 (ωB97M-V/def2-TZVPD).

Summary:
LUMO (spin up / spin down)	0.0325 / -0.1131	hartree
gap between HOMO and LUMO (spin up / spin down)	6.40 / 7.44	eV
⟨S²⟩	2.0133
multiplicity	3
HOMO level (spin up / spin down)	-5.5 / -10.5	eV

Positions of all 13 atoms, in Å:
C -0.211 -0.282 -0.600
C 0.914 0.796 1.465
C -0.371 0.801 0.648
N 0.768 -1.016 -0.559
O -1.221 -1.229 -2.415
O -1.223 -0.180 -1.486
H 1.007 -0.219 2.092
H 1.659 0.654 0.709
H 0.952 1.755 1.891
H -1.370 0.760 1.256
H -0.452 1.821 0.288
H 1.042 -1.674 -1.327
H -1.493 -1.987 -1.962

The net atomic charges from natural (NBO), expressed in e, are: atom 1 (C): 0.524, atom 2 (C): -0.619, atom 3 (C): -0.463, atom 4 (N): -0.670, atom 5 (O): -0.407, atom 6 (O): -0.235, atom 7 (H): 0.213, atom 8 (H): 0.226, atom 9 (H): 0.210, atom 10 (H): 0.217, atom 11 (H): 0.213, atom 12 (H): 0.373, atom 13 (H): 0.417

B) Entry from the OMol25 dataset: C3H7NO2 as an isolated structure (ωB97M-V/def2-TZVPD).

Summary:
LUMO (spin up / spin down)	0.0326 / -0.0896	hartree
gap between HOMO and LUMO (spin up / spin down)	7.15 / 7.50	eV
⟨S²⟩	2.0081
multiplicity	3
HOMO level (spin up / spin down)	-6.3 / -9.9	eV

Positions of all 13 atoms, in Å:
C 0.997 0.806 0.020
C 0.227 1.915 -0.637
C -1.364 -0.913 0.073
N 0.426 -0.327 0.140
O 0.937 -1.407 0.566
O -1.300 -2.206 0.163
H 1.988 0.981 0.051
H -0.023 1.833 -1.689
H -0.669 2.236 -0.070
H 0.902 2.788 -0.747
H -1.612 -0.310 -0.821
H 0.068 -2.128 0.346
H -1.617 -0.379 1.006

The net atomic charges from natural (NBO), expressed in e, are: atom 1 (C): 0.016, atom 2 (C): -0.690, atom 3 (C): 0.165, atom 4 (N): -0.088, atom 5 (O): -0.317, atom 6 (O): -0.720, atom 7 (H): 0.178, atom 8 (H): 0.223, atom 9 (H): 0.221, atom 10 (H): 0.229, atom 11 (H): 0.154, atom 12 (H): 0.489, atom 13 (H): 0.140

Pick B): it beats the second-best structure by 52.2 kcal/mol.

A) Entry from the OMol25 dataset: CH3PS4 as an isolated structure (ωB97M-V/def2-TZVPD).

Summary:
LUMO	-0.0295	hartree
gap between HOMO and LUMO	7.34	eV
multiplicity	1
HOMO level	-8.1	eV

Positions of all 9 atoms, in Å:
C 0.995 -0.474 0.785
P -0.110 0.923 0.347
S 0.515 -0.891 2.512
S -1.137 0.398 2.118
S -1.893 -2.063 -0.101
S -1.695 -0.422 -1.329
H 0.709 -1.336 0.254
H 2.094 -0.349 0.881
H -3.107 -2.089 0.393

The net atomic charges from natural (NBO), expressed in e, are: atom 1 (C): -0.889, atom 2 (P): 0.668, atom 3 (S): 0.124, atom 4 (S): -0.146, atom 5 (S): -0.131, atom 6 (S): -0.263, atom 7 (H): 0.255, atom 8 (H): 0.256, atom 9 (H): 0.125

B) Entry from the OMol25 dataset: one molecule with the formula CH3PS4 (ωB97M-V/def2-TZVPD).

Summary:
LUMO (spin up / spin down)	-0.0550 / -0.0835	hartree
gap between HOMO and LUMO (spin up / spin down)	7.30 / 5.87	eV
multiplicity	1
HOMO level (spin up / spin down)	-8.8 / -8.1	eV

Positions of all 9 atoms, in Å:
C -1.801 0.530 0.202
P 2.998 -0.048 0.321
S -1.865 -0.965 1.049
S 2.094 -1.886 -0.021
S -0.270 0.757 -0.958
S 1.294 1.331 0.211
H -2.609 0.484 -0.566
H -1.684 1.306 1.030
H 1.843 -1.509 -1.269

The net atomic charges from natural (NBO), expressed in e, are: atom 1 (C): -0.753, atom 2 (P): 0.336, atom 3 (S): 0.162, atom 4 (S): -0.280, atom 5 (S): 0.081, atom 6 (S): -0.215, atom 7 (H): 0.244, atom 8 (H): 0.276, atom 9 (H): 0.149

Pick A): it beats the second-best structure by 27.8 kcal/mol.

A) Entry from the OMol25 dataset: C3H6GaMgO4S as an isolated structure (ωB97M-V/def2-TZVPD).

Summary:
total charge	+1
LUMO (spin up / spin down)	-0.2011 / -0.2141	hartree
gap between HOMO and LUMO (spin up / spin down)	6.81 / 5.10	eV
multiplicity	1
HOMO level (spin up / spin down)	-12.3 / -10.9	eV

Positions of all 16 atoms, in Å:
Ga 0.638 1.453 0.463
S 3.408 0.831 -0.418
O 2.880 -0.656 0.060
O 2.599 1.916 0.492
O 0.067 0.853 -1.261
C -1.274 0.467 -1.153
C -1.509 -0.776 -0.276
O -0.343 -1.150 0.450
C -0.016 -0.188 1.552
Mg 1.239 -1.068 -0.814
H -1.624 0.205 -2.169
H -1.877 1.297 -0.737
H -1.729 -1.646 -0.913